Entries:
/*
(1)
Zn3Rh4W (GGA-PBE, relaxed); DFT formation energy = -0.3631 eV/atom; space-group type = P4/mmm
1.0
4.238 0.000 0.000
0.000 6.309 0.000
0.000 0.000 8.475
Rh W Zn
8 2 6
Direct
0.000 0.251 0.750 Rh
0.500 0.251 0.500 Rh
0.000 0.749 0.750 Rh
0.500 0.749 0.500 Rh
0.500 0.749 0.000 Rh
0.000 0.251 0.250 Rh
0.000 0.749 0.250 Rh
0.500 0.251 0.000 Rh
0.000 0.500 0.000 W
0.000 0.500 0.500 W
0.500 0.000 0.750 Zn
0.500 0.500 0.250 Zn
0.500 0.000 0.250 Zn
0.500 0.500 0.750 Zn
0.000 0.000 0.000 Zn
0.000 0.000 0.500 Zn

=====

(2)
La2MoPb (GGA-PBE, relaxed); DFT formation energy = 0.2191 eV/atom; space-group type = F-43m
1.0
5.271 0.000 0.000
2.636 4.565 0.000
2.636 1.522 4.304
La Mo Pb
2 1 1
Direct
0.000 0.000 0.000 La
0.250 0.250 0.250 La
0.500 0.500 0.500 Mo
0.750 0.750 0.750 Pb

=====

(3)
AgIF2 (GGA-PBE, relaxed); distance to the lowest polymorph of the same formula = 0.123 eV/atom; formation energy (no corrections) = -0.73 eV per atom; space-group type = P2_1/m
1.0
-2.692 0.542 2.695
-1.203 -3.681 -6.315
1.810 -5.638 2.942
F I Ag
4 2 2
Direct
0.365 0.655 0.564 F
0.635 0.345 0.064 F
0.635 0.345 0.436 F
0.365 0.655 0.936 F
0.961 0.980 0.750 I
0.039 0.020 0.250 I
0.292 0.619 0.250 Ag
0.708 0.381 0.750 Ag

=====

Total magnetization
In order: 0.000; 1.723; 0.000
Unit: Bohr magnetons per cell
V
In order: 14.162; 25.889; 19.620
Unit: Å³ per atom

----------

DFT (SCAN) results for a crystal of YHf2Tc2 relaxed with PBEsol. Values from VASP.

Summary:
The calculated density is 10.24 g/cm3. The space-group type is I4/mmm. For the uncorrected energy, the calculation gives -44.80 eV per atom.

The structure in Quantum ESPRESSO input format:
```
&SYSTEM
  ibrav = 0, nat = 5, ntyp = 3
/
ATOMIC_SPECIES
Y 88.91 Y.upf
Hf 178.49 Hf.upf
Tc 98.00 Tc.upf
ATOMIC_POSITIONS angstrom
Y 0.0000 0.0000 0.0000
Hf 2.1435 0.0000 2.8308
Hf 0.0000 2.1435 2.8308
Tc 0.0000 0.0000 4.4477
Tc 0.0000 0.0000 6.8757
CELL_PARAMETERS angstrom
-2.1435 2.1435 5.6617
2.1435 -2.1435 5.6617
2.1435 2.1435 -5.6617
```

***

DFT (SCAN) results for a crystal of Hf3ZnTc relaxed with PBEsol. Values from VASP.

Summary:
The calculated density is 10.90 g/cm3. The space-group type is Pm-3m. For the uncorrected energy, the calculation gives -46.29 eV per atom.

The structure in Quantum ESPRESSO input format:
```
&SYSTEM
  ibrav = 0, nat = 5, ntyp = 3
/
ATOMIC_SPECIES
Hf 178.49 Hf.upf
Zn 65.41 Zn.upf
Tc 98.00 Tc.upf
ATOMIC_POSITIONS angstrom
Hf 0.0000 0.0000 2.3700
Hf 0.0000 2.3700 0.0000
Hf 2.3700 0.0000 0.0000
Zn 0.0000 0.0000 0.0000
Tc 2.3700 2.3700 2.3700
CELL_PARAMETERS angstrom
4.7401 0.0000 0.0000
0.0000 4.7401 0.0000
0.0000 0.0000 4.7401
```

***

DFT (SCAN) results for a crystal of HfZrTc2 relaxed with PBEsol. Values from VASP.

Summary:
The calculated density is 11.46 g/cm3. The space-group type is Fm-3m. For the uncorrected energy, the calculation gives -41.38 eV per atom.

The structure in Quantum ESPRESSO input format:
```
&SYSTEM
  ibrav = 0, nat = 4, ntyp = 3
/
ATOMIC_SPECIES
Hf 178.49 Hf.upf
Zr 91.22 Zr.upf
Tc 98.00 Tc.upf
ATOMIC_POSITIONS angstrom
Hf 0.0000 0.0000 0.0000
Zr 3.2318 3.2318 3.2318
Tc 1.6159 1.6159 1.6159
Tc 4.8477 4.8477 4.8477
CELL_PARAMETERS angstrom
0.0000 3.2318 3.2318
3.2318 0.0000 3.2318
3.2318 3.2318 0.0000
```

***

DFT (SCAN) results for a crystal of Hf5Te4 relaxed with PBEsol. Values from VASP.

Summary:
The calculated density is 11.14 g/cm3. The space-group type is I4/m. For the uncorrected energy, the calculation gives -52.07 eV per atom.

The structure in Quantum ESPRESSO input format:
```
&SYSTEM
  ibrav = 0, nat = 9, ntyp = 2
/
ATOMIC_SPECIES
Hf 178.49 Hf.upf
Te 127.60 Te.upf
ATOMIC_POSITIONS angstrom
Hf 0.0000 0.0000 0.0000
Hf 6.7077 3.2899 0.0000
Hf 3.2899 3.8976 0.0000
Hf 2.0128 1.4050 1.8588
Hf -1.4050 2.0128 1.8588
Te 7.5602 0.5383 0.0000
Te 0.5383 3.0451 0.0000
Te 4.7643 2.2576 1.8588
Te -2.2576 4.7643 1.8588
CELL_PARAMETERS angstrom
-5.3026 5.3026 1.8588
5.3026 -5.3026 1.8588
5.3026 5.3026 -1.8588
```

***
*/

To do:
Please restate the whole of the listing further up word for word.

Written answer:
(1)
Zn3Rh4W (GGA-PBE, relaxed); DFT formation energy = -0.3631 eV/atom; space-group type = P4/mmm
1.0
4.238 0.000 0.000
0.000 6.309 0.000
0.000 0.000 8.475
Rh W Zn
8 2 6
Direct
0.000 0.251 0.750 Rh
0.500 0.251 0.500 Rh
0.000 0.749 0.750 Rh
0.500 0.749 0.500 Rh
0.500 0.749 0.000 Rh
0.000 0.251 0.250 Rh
0.000 0.749 0.250 Rh
0.500 0.251 0.000 Rh
0.000 0.500 0.000 W
0.000 0.500 0.500 W
0.500 0.000 0.750 Zn
0.500 0.500 0.250 Zn
0.500 0.000 0.250 Zn
0.500 0.500 0.750 Zn
0.000 0.000 0.000 Zn
0.000 0.000 0.500 Zn

=====

(2)
La2MoPb (GGA-PBE, relaxed); DFT formation energy = 0.2191 eV/atom; space-group type = F-43m
1.0
5.271 0.000 0.000
2.636 4.565 0.000
2.636 1.522 4.304
La Mo Pb
2 1 1
Direct
0.000 0.000 0.000 La
0.250 0.250 0.250 La
0.500 0.500 0.500 Mo
0.750 0.750 0.750 Pb

=====

(3)
AgIF2 (GGA-PBE, relaxed); distance to the lowest polymorph of the same formula = 0.123 eV/atom; formation energy (no corrections) = -0.73 eV per atom; space-group type = P2_1/m
1.0
-2.692 0.542 2.695
-1.203 -3.681 -6.315
1.810 -5.638 2.942
F I Ag
4 2 2
Direct
0.365 0.655 0.564 F
0.635 0.345 0.064 F
0.635 0.345 0.436 F
0.365 0.655 0.936 F
0.961 0.980 0.750 I
0.039 0.020 0.250 I
0.292 0.619 0.250 Ag
0.708 0.381 0.750 Ag

=====

Total magnetization
In order: 0.000; 1.723; 0.000
Unit: Bohr magnetons per cell
V
In order: 14.162; 25.889; 19.620
Unit: Å³ per atom

----------

DFT (SCAN) results for a crystal of YHf2Tc2 relaxed with PBEsol. Values from VASP.

Summary:
The calculated density is 10.24 g/cm3. The space-group type is I4/mmm. For the uncorrected energy, the calculation gives -44.80 eV per atom.

The structure in Quantum ESPRESSO input format:
```
&SYSTEM
  ibrav = 0, nat = 5, ntyp = 3
/
ATOMIC_SPECIES
Y 88.91 Y.upf
Hf 178.49 Hf.upf
Tc 98.00 Tc.upf
ATOMIC_POSITIONS angstrom
Y 0.0000 0.0000 0.0000
Hf 2.1435 0.0000 2.8308
Hf 0.0000 2.1435 2.8308
Tc 0.0000 0.0000 4.4477
Tc 0.0000 0.0000 6.8757
CELL_PARAMETERS angstrom
-2.1435 2.1435 5.6617
2.1435 -2.1435 5.6617
2.1435 2.1435 -5.6617
```

***

DFT (SCAN) results for a crystal of Hf3ZnTc relaxed with PBEsol. Values from VASP.

Summary:
The calculated density is 10.90 g/cm3. The space-group type is Pm-3m. For the uncorrected energy, the calculation gives -46.29 eV per atom.

The structure in Quantum ESPRESSO input format:
```
&SYSTEM
  ibrav = 0, nat = 5, ntyp = 3
/
ATOMIC_SPECIES
Hf 178.49 Hf.upf
Zn 65.41 Zn.upf
Tc 98.00 Tc.upf
ATOMIC_POSITIONS angstrom
Hf 0.0000 0.0000 2.3700
Hf 0.0000 2.3700 0.0000
Hf 2.3700 0.0000 0.0000
Zn 0.0000 0.0000 0.0000
Tc 2.3700 2.3700 2.3700
CELL_PARAMETERS angstrom
4.7401 0.0000 0.0000
0.0000 4.7401 0.0000
0.0000 0.0000 4.7401
```

***

DFT (SCAN) results for a crystal of HfZrTc2 relaxed with PBEsol. Values from VASP.

Summary:
The calculated density is 11.46 g/cm3. The space-group type is Fm-3m. For the uncorrected energy, the calculation gives -41.38 eV per atom.

The structure in Quantum ESPRESSO input format:
```
&SYSTEM
  ibrav = 0, nat = 4, ntyp = 3
/
ATOMIC_SPECIES
Hf 178.49 Hf.upf
Zr 91.22 Zr.upf
Tc 98.00 Tc.upf
ATOMIC_POSITIONS angstrom
Hf 0.0000 0.0000 0.0000
Zr 3.2318 3.2318 3.2318
Tc 1.6159 1.6159 1.6159
Tc 4.8477 4.8477 4.8477
CELL_PARAMETERS angstrom
0.0000 3.2318 3.2318
3.2318 0.0000 3.2318
3.2318 3.2318 0.0000
```

***

DFT (SCAN) results for a crystal of Hf5Te4 relaxed with PBEsol. Values from VASP.

Summary:
The calculated density is 11.14 g/cm3. The space-group type is I4/m. For the uncorrected energy, the calculation gives -52.07 eV per atom.

The structure in Quantum ESPRESSO input format:
```
&SYSTEM
  ibrav = 0, nat = 9, ntyp = 2
/
ATOMIC_SPECIES
Hf 178.49 Hf.upf
Te 127.60 Te.upf
ATOMIC_POSITIONS angstrom
Hf 0.0000 0.0000 0.0000
Hf 6.7077 3.2899 0.0000
Hf 3.2899 3.8976 0.0000
Hf 2.0128 1.4050 1.8588
Hf -1.4050 2.0128 1.8588
Te 7.5602 0.5383 0.0000
Te 0.5383 3.0451 0.0000
Te 4.7643 2.2576 1.8588
Te -2.2576 4.7643 1.8588
CELL_PARAMETERS angstrom
-5.3026 5.3026 1.8588
5.3026 -5.3026 1.8588
5.3026 5.3026 -1.8588
```

***